Welcome to the DadosAbertos.info video repository. All videos on this page are publically accessible and may be freely used for research purposes. They have been authorized by the respective authors, but are still under their copyright. For more details about author and copyright, see the descriptions in the videos.

Cattle Fattening Control - Integrated Information System (Paula Rodrigues Gaspar & Sofia Souza Guidolin)

Small-scale cattle raising has a low level of management, the vast majority of producers do not have the planning and control to produce the arroba of the ox and can not record the inputs and outputs. Our spreadsheet allows the monitoring of all major livestock production activities and records of inputs and outputs.

The importance of the field book for the organic certification of vegetables (Isabela Gomes F. Pedroso & Sabarrah Maria Jorge)

(Someone pasted records of crystals at this point)
+++
# 1
Material: Li2TlPbCl8
Method: DFT, PBE-GGA
State: relaxed

abc: 6.208 6.200 8.158
angles: 90.00 90.00 95.53
Atoms (fractional coordinates):
1 Li 0.500 0.500 0.758
2 Li 0.500 0.500 0.242
3 Tl 0.000 0.000 0.000
4 Pb 0.000 0.000 0.500
5 Cl 0.198 0.799 0.241
6 Cl 0.691 0.694 0.000
7 Cl 0.802 0.201 0.241
8 Cl 0.802 0.201 0.759
9 Cl 0.309 0.306 0.000
10 Cl 0.198 0.799 0.759
11 Cl 0.676 0.678 0.500
12 Cl 0.324 0.322 0.500

Results
- VASP energy: -37.38 eV/cell
- Volume: 313 Å³/cell
- Energy relative to the elements, uncorrected: -1.059 eV/atom
- Density of states at the Fermi level: 0.236 states/eV per atom

# 2
Material: LiTlPbCl4
Method: DFT, PBE-GGA
State: relaxed

abc: 6.915 7.083 8.749
angles: 90.00 108.40 90.00
Atoms (fractional coordinates):
1 Li 0.233 0.750 0.313
2 Li 0.767 0.250 0.687
3 Tl 0.731 0.750 0.936
4 Tl 0.269 0.250 0.064
5 Pb 0.781 0.750 0.450
6 Pb 0.219 0.250 0.550
7 Cl 0.000 0.500 0.721
8 Cl 0.000 0.000 0.279
9 Cl 0.000 0.500 0.279
10 Cl 0.000 0.000 0.721
11 Cl 0.441 0.750 0.149
12 Cl 0.559 0.250 0.851
13 Cl 0.449 0.750 0.581
14 Cl 0.551 0.250 0.419

Results
- VASP energy: -48.78 eV/cell
- Volume: 407 Å³/cell
- Energy relative to the elements, uncorrected: -1.288 eV/atom
- Density of states at the Fermi level: 0.000 states/eV per atom

# 3
Material: LiTmPbCl6
Method: DFT, PBE-GGA
State: relaxed

abc: 6.716 6.716 12.614
angles: 90.00 90.00 120.00
Atoms (fractional coordinates):
1 Li 0.667 0.333 0.250
2 Li 0.333 0.667 0.750
3 Tm 0.333 0.667 0.250
4 Tm 0.667 0.333 0.750
5 Pb 0.000 0.000 0.000
6 Pb 0.000 0.000 0.500
7 Cl 0.643 0.642 0.134
8 Cl 0.999 0.357 0.134
9 Cl 0.357 0.999 0.634
10 Cl 0.001 0.643 0.866
11 Cl 0.358 0.357 0.366
12 Cl 0.999 0.642 0.366
13 Cl 0.642 0.999 0.866
14 Cl 0.643 0.001 0.366
15 Cl 0.001 0.358 0.634
16 Cl 0.358 0.001 0.134
17 Cl 0.642 0.643 0.634
18 Cl 0.357 0.358 0.866

Results
- VASP energy: -74.78 eV/cell
- Volume: 493 Å³/cell
- Energy relative to the elements, uncorrected: -1.802 eV/atom
- Density of states at the Fermi level: 0.000 states/eV per atom
+++

Hi guys, how are you? This video contains some tips for you, producer, who is seeking organic certification for your vegetable production, but in order for you to achieve this goal, it is necessary to perform some steps with the requirements demanded by the certifier, one of them is to have a notebook of field. We have prepared a template for you, containing all the information, so that it meets your needs and you can obtain certification and reach more and more customers.

Cost control solution for cassava producers (Ana Carolina N. Nobrega & Larissa Kiill Gasparoto)

Explanatory video of the cost control worksheet for industrial cassava producers. Spreadsheet Link: http: //bit.ly/2Me1Vyt

Rural Financing Database (Allan Rodrigues dos S. Marques & Felipe de O. Pezzato)

The program was created in order to facilitate the search for the main Brazilian financing for small producers. It has been developed a form of rapid research, where it is separated by types of production, to facilitate the search. Being that in the table, there is a series of information such as: amount, purpose, interest, etc. In order to make it even more practical. Access link: https://onedrive.live.com/redir?resid=B20A0730E7E48607!570&authkey=!AGbLSSyPFyT_cDs&ithint=file%2cxlsx

Id Diseases and Pests (Alanis Mayumi dos Santos & Ana Carolina Jesus Calixto)

The ID Diseases and Pests tool is a simple, practical worksheet that gathers information from studies and research from Embrapa, Agrolink and CPT among other sources for the use of crop pests and diseases identification by smallholder farmers. Being the cultures 4 types of approached: tomato, passion fruit, manioc and carrot. The link to the spreadsheet: http://bit.ly/id_doencasPragas

System to control loss of production in vegetables (Jair A. Campos Neto & Irving Voleck)

Given the specific need of a family farmer of Vegetables, who knows who in their crop activities has losses and is not satisfied with it, a tool (spreadsheet) has been developed to help him control these losses, in order to apply the corrective measures expected at each identified stage of the crop. Click here to download the tool: https://bit.ly/2MdVn2J